1. Introduction

The ability of artificial intelligence (AI) to understand and process multiple languages has far-reaching implications for global connectivity and accessibility. However, the current state of multilingual AI reveals significant gaps and challenges.

In this tutorial, we’ll explore why current AI models don’t “speak” every human language.

2. Overview

Data availability varies greatly, with widely spoken languages like English and Mandarin having abundant resources, unlike many others. However, each language requires customized approaches in AI algorithms and models due to significant differences in syntax, morphology, phonology, and semantics. Consequently, it’s hard to implement solutions that work well for all languages but can be trained on the corpora available for a few.

Further, the resource-intensive nature of training AI models poses significant computational challenges to supporting multiple languages. For example, biases in training data can result in unfair outcomes for underrepresented languages. Understanding these challenges is crucial for advancing AI to be more inclusive globally.

3. Challenges

There are several challenges to overcome.

3.1. Data Availability and Quality

The world is home to over 7,000 languages, each with its unique structure and cultural significance.

This vast diversity poses significant challenges for AI systems, which require extensive, high-quality data to understand and process multiple languages effectively. While languages like English and Spanish have extensive digital footprints, allowing for the creation of robust AI models, languages with fewer speakers suffer from a severe lack of datasets suitable for training.

Additionally, the lack of diverse linguistic data can lead to biases in AI models, resulting in unfair outcomes for speakers of underrepresented languages. We should incorporate more languages and dialects in training datasets, which is essential to ensure fair AI outcomes across diverse linguistic communities.

3.2. Structural Variability

Languages vary widely in their syntax, morphology, phonology, and semantics.

For example, English has a relatively simple morphological structure compared to languages like Finnish or Turkish, which feature complex inflectional systems. Additionally, tonal languages such as Mandarin present unique challenges due to their reliance on pitch to distinguish meaning.

This variability requires AI models to be highly adaptable and sophisticated to handle different linguistic features. Developing language models that can handle this diversity while remaining cost-effective is a major challenge.

3.3. Computational Limitations

Training large models like OpenAI’s ChatGPT or Google’s BERT in various languages can be very expensive, as developing AI models that support multiple languages is resource-intensive. Additionally, the environmental impact of these operations is substantial due to the compute-intensive nature of model training, which significantly contributes to the carbon footprint of AI development.

It requires significant computational power, storage, and memory. Moreover, each additional language increases the complexity and resource requirements of the training process.

3.4. Scalability and Efficiency

Scaling AI models to support many languages while maintaining high performance poses a significant challenge. We must consider the trade-off between the number of languages supported and the model’s performance. For instance, a model supporting 100 languages might be less accurate in each language than a model focusing on just a few.

Moreover, there is a trade-off between efficiency and language coverage. Efficiency in AI systems refers to the optimal use of computational resources to achieve the desired performance. Increasing the number of languages a model supports requires more complex algorithms and greater computational power, which reduces efficiency. For example, adding support for languages like Japanese or Arabic in addition to English can significantly increase resource demands and make AI systems less efficient.

3.5. Linguistic Complexity and Ambiguity

Each language comes with its own set of complexities. For example, polysynthetic languages, which form words by combining many morphemes, present unique challenges for AI. Additionally, languages use idiomatic expressions and rely heavily on context for meaning, necessitating sophisticated models to understand and generate text accurately.

AI models must also effectively handle linguistic ambiguities, such as homophones—words that sound alike but have different meanings—and context-dependent meanings. Ambiguity in one language can hinder the model’s ability to process ambiguous prompts in another language. This is because the AI must differentiate meanings based on context, which can vary widely across languages.

For instance, an AI trained using English corpora may struggle with the contextual nuances of other languages, such as Mandarin or Arabic, leading to inaccuracies in understanding and generating text. This challenge requires sophisticated natural language processing techniques and extensive training data.

4. Solutions

Recent advances in AI models, such as Google’s Multilingual Neural Machine Translation, demonstrate the potential for supporting multiple languages. These models use transfer learning and other techniques to improve performance across languages with varying amounts of data.

Open-source projects and community contributions also play a crucial role in advancing multilingual AI. By sharing resources and collaborating on datasets, developers can accelerate progress and improve language support in AI models:

Multilingual AI problems and potential solutions

We must use diverse and representative datasets to train AI models and mitigate bias. Additionally, ongoing efforts to include more languages and dialects in AI research can help address these disparities. Strategies like active learning and community involvement in data collection can address the problem of data unavailability for many languages.

Future research in multilingual AI should also be focused on improving model efficiency and performance. Trends like zero-shot learning, where models can understand and generate text in new languages without direct training, are promising avenues for expanding language support.

4.1. Summary of Challenges and Potential Solutions

Let’s see how we can overcome each challenge:



Potential Solutions

Language Diversity

Over 7,000 languages with unique structures and cultural significance.

Focus on widely spoken languages initially and expand gradually.

**Someone pasted records of crystals at this point:**
Density functional theory data (PBE) for a relaxed UZn4Pt4 crystal.

The structure in POSCAR format:
```
UZn4Pt4
1.0
-5.036 0.061 2.873
-2.746 -1.807 -4.776
1.310 -8.541 2.479
Pt Zn U
8 8 2
direct
0.741 0.000 0.276
0.759 0.500 0.224
0.500 0.241 0.776
0.000 0.259 0.724
0.500 0.759 0.776
0.241 0.500 0.224
0.000 0.741 0.724
0.259 0.000 0.276
0.780 0.500 0.928
0.220 0.500 0.928
0.280 0.000 0.572
0.720 0.000 0.572
0.500 0.220 0.072
0.500 0.780 0.072
0.000 0.280 0.428
0.000 0.720 0.428
0.500 0.500 0.500
0.000 0.000 0.000
```

Its symmetry is P4_2/nmc. Its magnetic moment is 2.108 μB/f.u. The total energy comes out at -4.911 eV/atom.

Density functional theory data (PBE) for a relaxed TbNd6Ho crystal.

The structure in POSCAR format:
```
TbNd6Ho
1.0
5.157 0.000 0.000
0.000 5.157 0.000
0.000 0.000 10.305
Tb Nd Ho
1 6 1
direct
0.000 0.000 0.000
0.500 0.000 0.749
0.500 0.500 0.000
0.500 0.000 0.251
0.000 0.500 0.749
0.000 0.500 0.251
0.500 0.500 0.500
0.000 0.000 0.500
```

Its symmetry is P4/mmm. Its magnetic moment is 0.000 μB/f.u. The total energy comes out at -4.712 eV/atom.

What is the total energy in the second record?
-4.712 eV/atom

=====

[1]
{
  "formula": "SrAlFe",
  "functional": "PBE",
  "state": "relaxed",
  "sg": "F-43m, No. 216",
  "e_tot_ev_per_atom": -3.36,
  "lattice_angstrom": [[0.380, -0.768, 4.970], [0.098, 3.931, 3.159], [-3.946, 0.920, 3.003]],
  "species": ["Al", "Sr", "Fe"],
  "fractional_positions": [[0.250, 0.250, 0.250], [0.000, 0.000, 0.000], [0.750, 0.750, 0.750]]
}

***

[2]
{
  "formula": "Pr3Mg3Cd2Ir",
  "functional": "PBE",
  "state": "relaxed",
  "sg": "P-62m, No. 189",
  "e_tot_ev_per_atom": -3.62,
  "lattice_angstrom": [[7.695, 0.000, 0.000], [-3.847, 6.664, 0.000], [0.000, 0.000, 4.518]],
  "species": ["Cd", "Cd", "Mg", "Mg", "Mg", "Pr", "Pr", "Pr", "Ir"],
  "fractional_positions": [[0.667, 0.333, 0.500], [0.333, 0.667, 0.500], [0.774, 0.774, 0.500], [0.000, 0.226, 0.500], [0.226, 0.000, 0.500], [0.000, 0.614, 0.000], [0.614, 0.000, 0.000], [0.386, 0.386, 0.000], [0.000, 0.000, 0.000]]
}

***

Repeat the second record exactly.
{
  "formula": "Pr3Mg3Cd2Ir",
  "functional": "PBE",
  "state": "relaxed",
  "sg": "P-62m, No. 189",
  "e_tot_ev_per_atom": -3.62,
  "lattice_angstrom": [[7.695, 0.000, 0.000], [-3.847, 6.664, 0.000], [0.000, 0.000, 4.518]],
  "species": ["Cd", "Cd", "Mg", "Mg", "Mg", "Pr", "Pr", "Pr", "Ir"],
  "fractional_positions": [[0.667, 0.333, 0.500], [0.333, 0.667, 0.500], [0.774, 0.774, 0.500], [0.000, 0.226, 0.500], [0.226, 0.000, 0.500], [0.000, 0.614, 0.000], [0.614, 0.000, 0.000], [0.386, 0.386, 0.000], [0.000, 0.000, 0.000]]
}

=====

No. 1
PaVMoRu after structural relaxation, computed with GGA-PBE.

Geometry as CIF:
```
data_PaVMoRu
_chemical_formula_sum 'Pa4 V4 Mo4 Ru4'
_symmetry_space_group_name_H-M 'F -4 3 m'
_symmetry_Int_Tables_number 216
_symmetry_space_group_name_Hall 'F -4 2 3'
_cell_length_a 6.4963
_cell_length_b 6.4963
_cell_length_c 6.4963
_cell_angle_alpha 90.00

Data Availability and Quality

Limited data for many languages, especially lesser-known ones.

Community contributions, data augmentation techniques.

Computational Limitations

High resource requirements for supporting multiple languages.

Optimized models and resource-efficient training techniques.

Linguistic Complexity

Variability in syntax, morphology, phonology, and semantics.

Advanced NLP techniques, language-specific tuning.

Bias and Representation

The underrepresentation of some languages leads to biased AI models.

Diverse datasets, bias mitigation strategies.

Focusing on these areas can help us address these main challenges and significantly improve AI’s ability to support various languages.

5. Conclusion

In this article**,** we explored why AI doesn’t speak every language. We examined the challenges of language diversity, data availability, computational limitations, linguistic complexity, and biases.

Despite significant advancements, AI still struggles to adequately support many of the world’s languages. However, ongoing research and technological improvements promise a more inclusive future.